SPOILER: Before anyone says 'You probably didn't even watch it!', I did. Not once, but twice.
Not only did I watch this 'documentary' twice, I also watched the interviews with this guy beating a dead horse.
### Unrelated to this text: quantum chemistry results
# 1
{
  "formula": "C3H5BrSi",
  "method": "wB97M-V/def2-TZVPD",
  "species": ["C", "C", "C", "Si", "Br", "H", "H", "H", "H", "H"],
  "coordinates": [[0.153, 1.334, 0.009], [-0.626, 0.413, -0.029], [1.522, 0.485, 1.178], [-1.289, -1.189, -0.559], [2.838, -0.089, -0.115], [0.073, 2.338, 0.240], [1.901, 1.447, 1.540], [-0.437, -2.004, -1.473], [-2.439, -0.663, -1.405], [-1.696, -2.071, 0.614]],
  "gap_ev": [8.01, 8.61],
  "s_squared": 2.032,
  "e_lumo_ev": [0.67, -1.58],
  "relative_energy_kj_mol": 39.3,
  "homo_energy_ev": [-7.3, -10.2],
  "multiplicity": 3
}

# 2
{
  "formula": "C3H5Cl2NS",
  "method": "wB97M-V/def2-TZVPD",
  "species": ["C", "N", "C", "S", "C", "Cl", "Cl", "H", "H", "H", "H", "H"],
  "coordinates": [[-2.316, 1.190, 1.074], [-0.939, 0.854, 0.695], [-0.679, -0.156, -0.125], [-1.742, -1.102, -0.898], [0.797, -0.321, -0.334], [1.651, -0.922, 1.110], [1.580, 1.102, -0.959], [-2.803, 0.313, 1.429], [-2.283, 2.006, 1.813], [-2.851, 1.613, 0.232], [-0.200, 1.568, 0.809], [0.855, -1.177, -1.025]],
  "gap_ev": 9.12,
  "smiles": "CNC(=S)C(Cl)Cl",
  "e_lumo_ev": 0.21,
  "relative_energy_kj_mol": 11.0,
  "homo_energy_ev": -8.9,
  "multiplicity": 1
}

# 3
{
  "formula": "C3H5Cl2NS",
  "method": "wB97M-V/def2-TZVPD",
  "species": ["C", "C", "C", "N", "S", "Cl", "Cl", "H", "H", "H", "H", "H"],
  "coordinates": [[-1.269, 1.657, -0.452], [0.999, -0.354, -0.476], [0.132, -1.349, 0.377], [-0.886, -0.728, 1.106], [-0.722, 2.577, 0.665], [-2.025, 1.980, -1.923], [-0.270, 0.364, 2.226], [1.573, 0.468, 0.008], [1.887, -0.787, -1.066], [0.196, 0.103, -1.002], [-0.384, -2.021, -0.412], [0.769, -1.909, 0.949]],
  "gap_ev": [7.44, 8.15],
  "e_lumo_ev": [-0.76, -1.00],
  "relative_energy_kj_mol": 549.2,
  "homo_energy_ev": [-8.2, -9.2],
  "multiplicity": 1
}

# 4
{
  "formula": "C3H5Cl3S",
  "method": "wB97M-V/def2-TZVPD",
  "species": ["C", "C", "C", "S", "Cl", "Cl", "Cl", "H", "H", "H", "H", "H"],
  "coordinates": [[0.794, -0.313, -1.468], [-0.837, 0.708, 1.134], [1.015, 0.002, -0.003], [-2.162, -0.039, 0.236], [1.622, -1.366, 0.996], [2.012, 1.394, 0.169], [-3.158, -1.259, 1.615], [0.086, 0.446, -1.968], [1.613, -0.265, -2.103], [0.386, -1.342, -1.547], [-0.683, 1.662, 0.814], [-0.689, 0.373, 2.125]],
  "gap_ev": [7.72, 7.72],
  "e_lumo_ev": [-0.62, -0.62],
  "relative_energy_kj_mol": 255.2,
  "homo_energy_ev": [-8.3, -8.3],
  "multiplicity": 1
}

# 5
{
  "formula": "C3H5ClF2NO",
  "method": "wB97M-V/def2-TZVPD",
  "species": ["C", "C", "N", "F", "F", "C", "O", "Cl", "H", "H", "H", "H", "H"],
  "coordinates": [[-1.714, -0.455, -0.190], [-0.568, 0.469, -0.198], [0.610, -0.282, 0.097], [0.441, -0.917, 1.283], [0.894, -1.275, -0.792], [2.020, 0.642, 0.189], [1.748, 1.729, 0.552], [3.420, -0.092, -0.298], [-1.577, -1.458, -0.706], [-1.929, -0.726, 0.813], [-2.506, 0.190, -0.505], [-0.603, 1.035, 0.805], [-0.237, 1.140, -1.051]],
  "gap_ev": 12.03,
  "charge": 1,
  "smiles": "CC[N+](F)(F)C(=O)Cl",
  "e_lumo_ev": -5.21,
  "relative_energy_kj_mol": 218.6,
The guy cries about how in his otherwise perfect life, Apu is the problem. And when he doesn't get his way (for example, having a sit-down interview with Hank Azaria, the voice of Apu and many other Simpsons' characters), in the usual SJW leftist manner, he calls Hank 'Privileged'.
This guy wants nothing more than to become famous by using his 'outrage' of 'being offended' and making a cheap, poor excuse for a documentary, while hanging off Matt Groening's creation.
Here's a good example of that too: At about 46 minutes, he says, in quote, 'I certainly deserve a show'. See, I downloaded a torrent because I didn't want to give this guy any ratings by watching his cheap documentary on TruTV, although I could have, I made sure to skip it when it aired.
Don't give this guy the opportunity. If you ignore him, he will go away.
I had no idea who this guy was until these ridiculous accusations of 'offended outrage' started to surface from mainly leftist posts (coming mostly from CNN and HuffPost, that should say everything right there).
Also, during the documentary, at about 4 minutes in, he says 'Now before you call me a Social Justice Warrior who's being very sensitive, let it go snowflake. Well I have let it go, for 28 years.'
Yes, you've let it go so well that you felt the need to make a documentary about it. Usually when someone says 'Now before you call me a -Input statement of what they clearly are here-, they're really trying to deflect and say 'Well... I am, but still'.
He also refers to Hank as 'A White Dude' several times. I think this guy is the real racist. He is a lousy stand-up comedian who mainly uses racial jokes during his stand-up, so he has already limited himself to that (and we all know you can't go very far on just that).
This dude is just screaming 'I want to be famous SO BAD!!! Please every leftist, help make me famous, because my lousy racial stand-up routine isn't cutting it'.
If you watch during the documentary, the small bars and clubs where he's on the stage barley have anyone in the audience. That's a pretty good indication that this guy sucks. You can even see a woman WALK OUT during one of his routines, which made me laugh so hard. I had to watch it twice just to see that, and I had to tell myself 'Why would this guy leave this in?'.
It's so clear what this guy wants. He wants to hang off the success of The Simpsons by appealing to the 'Safe Space' generation.
It's sort of working, because leftists will buy anything that fits into their agenda.
But to every logical thinking individual: Ignore this guy. Don't make him famous.